To do >
Now copy the contents below without altering anything.
Input >
=====
(1)
# Li2FeGeS4 GGA-PBE optimized geometry
data_Li2FeGeS4
_cell_length_a 6.649
_cell_length_b 6.283
_cell_length_c 10.022
_cell_angle_alpha 51.29
_cell_angle_beta 90.00
_cell_angle_gamma 90.00
_symmetry_space_group_name_H-M 'P 1'
_symmetry_Int_Tables_number 1
loop_
_symmetry_equiv_pos_as_xyz
'x,y,z'
loop_
_atom_site_label
_atom_site_type_symbol
_atom_site_fract_x
_atom_site_fract_y
_atom_site_fract_z
Li1 Li 0.668 0.392 0.126
Li2 Li 0.332 0.392 0.626
Li3 Li 0.843 0.126 0.890
Li4 Li 0.157 0.126 0.390
Fe1 Fe 0.324 0.878 0.137
Fe2 Fe 0.676 0.878 0.637
Ge1 Ge 0.820 0.628 0.385
Ge2 Ge 0.180 0.628 0.885
S1 S 0.855 0.753 0.872
S2 S 0.145 0.753 0.372
S3 S 0.655 0.978 0.149
S4 S 0.345 0.978 0.649
S5 S 0.810 0.259 0.393
S6 S 0.190 0.259 0.893
S7 S 0.321 0.525 0.124
S8 S 0.679 0.525 0.624
# **Total energy after the MP2020 corrections**: -82.890 eV/cell
# **Spin magnetization**: 8.00 μB per cell

---

(2)
A plane-wave DFT calculation with GGA-PBE was carried out for crystalline Li9Ge4 at its relaxed geometry.

```
data_Li9Ge4
_cell_length_a 4.474
_cell_length_b 4.474
_cell_length_c 23.740
_cell_angle_alpha 90.00
_cell_angle_beta 90.00
_cell_angle_gamma 120.46
_symmetry_space_group_name_H-M 'P 1'
_symmetry_Int_Tables_number 1
loop_
_symmetry_equiv_pos_as_xyz
'x,y,z'
loop_
_atom_site_label
_atom_site_type_symbol
_atom_site_fract_x
_atom_site_fract_y
_atom_site_fract_z
Li1 Li 0.847 0.153 0.250
Li2 Li 0.153 0.847 0.750
Li3 Li 0.163 0.837 0.517
Li4 Li 0.837 0.163 0.483
Li5 Li 0.837 0.163 0.017
Li6 Li 0.163 0.837 0.983
Li7 Li 0.152 0.848 0.632
Li8 Li 0.848 0.152 0.368
Li9 Li 0.823 0.177 0.593
Li10 Li 0.177 0.823 0.407
Li11 Li 0.177 0.823 0.093
Li12 Li 0.823 0.177 0.907
Li13 Li 0.487 0.513 0.823
Li14 Li 0.513 0.487 0.177
Li15 Li 0.513 0.487 0.323
Li16 Li 0.487 0.513 0.677
Li17 Li 0.152 0.848 0.868
Li18 Li 0.848 0.152 0.132
Ge1 Ge 0.494 0.506 0.554
Ge2 Ge 0.506 0.494 0.446
Ge3 Ge 0.506 0.494 0.054
Ge4 Ge 0.494 0.506 0.946
Ge5 Ge 0.821 0.179 0.699
Ge6 Ge 0.179 0.821 0.301
Ge7 Ge 0.179 0.821 0.199
Ge8 Ge 0.821 0.179 0.801
```

---

(3)
# K2Al2O7 GGA-PBE optimized geometry
data_K2Al2O7
_cell_length_a 6.769
_cell_length_b 6.769
_cell_length_c 8.015
_cell_angle_alpha 90.00
_cell_angle_beta 90.00
_cell_angle_gamma 103.98
_symmetry_space_group_name_H-M 'P 1'
_symmetry_Int_Tables_number 1
loop_
_symmetry_equiv_pos_as_xyz
'x,y,z'
loop_
_atom_site_label
_atom_site_type_symbol
_atom_site_fract_x
_atom_site_fract_y
_atom_site_fract_z
K1 K 0.511 0.530 0.724
K2 K 0.470 0.489 0.276
K3 K 0.011 0.030 0.776
K4 K 0.970 0.989 0.224
Al1 Al 0.068 0.545 0.008
Al2 Al 0.455 0.932 0.992
Al3 Al 0.568 0.045 0.492
Al4 Al 0.955 0.432 0.508
O1 O 0.168 0.335 0.518
O2 O 0.665 0.832 0.482
O3 O 0.668 0.835 0.982
O4 O 0.165 0.332 0.018
O5 O 0.918 0.479 0.813
O6 O 0.521 0.082 0.187
O7 O 0.418 0.979 0.687
O8 O 0.021 0.582 0.313
O9 O 0.977 0.620 0.680
O10 O 0.380 0.023 0.320
O11 O 0.477 0.120 0.820
O12 O 0.880 0.523 0.180
O13 O 0.708 0.292 0.500
O14 O 0.208 0.792 0.000
# **Total energy after the MP2020 corrections**: -124.989 eV/cell
# **Spin magnetization**: 4.00 μB per cell

---

(4)
# Pr12C6I17 GGA-PBE optimized geometry
data_Pr12C6I17
_cell_length_a 12.015
_cell_length_b 12.015
_cell_length_c 19.504
_cell_angle_alpha 89.25
_cell_angle_beta 89.25
_cell_angle_gamma 63.99
_symmetry_space_group_name_H-M 'P 1'
_symmetry_Int_Tables_number 1
loop_
_symmetry_equiv_pos_as_xyz
'x,y,z'
loop_
_atom_site_label
_atom_site_type_symbol
_atom_site_fract_x
_atom_site_fract_y
_atom_site_fract_z
Pr1 Pr 0.711 0.296 0.021
Pr2 Pr 0.704 0.289 0.479
Pr3 Pr 0.289 0.704 0.979
Pr4 Pr 0.296 0.711 0.521
Pr5 Pr 0.534 0.548 0.128
Pr6 Pr 0.452 0.466 0.372
Pr7 Pr 0.466 0.452 0.872
Pr8 Pr 0.548 0.534 0.628
Pr9 Pr 0.899 0.424 0.117
Pr10 Pr 0.576 0.101 0.383
Pr11 Pr 0.101 0.576 0.883
Pr12 Pr 0.424 0.899 0.617
Pr13 Pr 0.641 0.641 0.950
Pr14 Pr 0.359 0.359 0.550
Pr15 Pr 0.359 0.359 0.050
Pr16 Pr 0.641 0.641 0.450
Pr17 Pr 0.020 0.077 0.152
Pr18 Pr 0.923 0.980 0.348
Pr19 Pr 0.980 0.923 0.848
Pr20 Pr 0.077 0.020 0.652
=====
Result >
(1)
# Li2FeGeS4 GGA-PBE optimized geometry
data_Li2FeGeS4
_cell_length_a 6.649
_cell_length_b 6.283
_cell_length_c 10.022
_cell_angle_alpha 51.29
_cell_angle_beta 90.00
_cell_angle_gamma 90.00
_symmetry_space_group_name_H-M 'P 1'
_symmetry_Int_Tables_number 1
loop_
_symmetry_equiv_pos_as_xyz
'x,y,z'
loop_
_atom_site_label
_atom_site_type_symbol
_atom_site_fract_x
_atom_site_fract_y
_atom_site_fract_z
Li1 Li 0.668 0.392 0.126
Li2 Li 0.332 0.392 0.626
Li3 Li 0.843 0.126 0.890
Li4 Li 0.157 0.126 0.390
Fe1 Fe 0.324 0.878 0.137
Fe2 Fe 0.676 0.878 0.637
Ge1 Ge 0.820 0.628 0.385
Ge2 Ge 0.180 0.628 0.885
S1 S 0.855 0.753 0.872
S2 S 0.145 0.753 0.372
S3 S 0.655 0.978 0.149
S4 S 0.345 0.978 0.649
S5 S 0.810 0.259 0.393
S6 S 0.190 0.259 0.893
S7 S 0.321 0.525 0.124
S8 S 0.679 0.525 0.624
# **Total energy after the MP2020 corrections**: -82.890 eV/cell
# **Spin magnetization**: 8.00 μB per cell

---

(2)
A plane-wave DFT calculation with GGA-PBE was carried out for crystalline Li9Ge4 at its relaxed geometry.

```
data_Li9Ge4
_cell_length_a 4.474
_cell_length_b 4.474
_cell_length_c 23.740
_cell_angle_alpha 90.00
_cell_angle_beta 90.00
_cell_angle_gamma 120.46
_symmetry_space_group_name_H-M 'P 1'
_symmetry_Int_Tables_number 1
loop_
_symmetry_equiv_pos_as_xyz
'x,y,z'
loop_
_atom_site_label
_atom_site_type_symbol
_atom_site_fract_x
_atom_site_fract_y
_atom_site_fract_z
Li1 Li 0.847 0.153 0.250
Li2 Li 0.153 0.847 0.750
Li3 Li 0.163 0.837 0.517
Li4 Li 0.837 0.163 0.483
Li5 Li 0.837 0.163 0.017
Li6 Li 0.163 0.837 0.983
Li7 Li 0.152 0.848 0.632
Li8 Li 0.848 0.152 0.368
Li9 Li 0.823 0.177 0.593
Li10 Li 0.177 0.823 0.407
Li11 Li 0.177 0.823 0.093
Li12 Li 0.823 0.177 0.907
Li13 Li 0.487 0.513 0.823
Li14 Li 0.513 0.487 0.177
Li15 Li 0.513 0.487 0.323
Li16 Li 0.487 0.513 0.677
Li17 Li 0.152 0.848 0.868
Li18 Li 0.848 0.152 0.132
Ge1 Ge 0.494 0.506 0.554
Ge2 Ge 0.506 0.494 0.446
Ge3 Ge 0.506 0.494 0.054
Ge4 Ge 0.494 0.506 0.946
Ge5 Ge 0.821 0.179 0.699
Ge6 Ge 0.179 0.821 0.301
Ge7 Ge 0.179 0.821 0.199
Ge8 Ge 0.821 0.179 0.801
```

---

(3)
# K2Al2O7 GGA-PBE optimized geometry
data_K2Al2O7
_cell_length_a 6.769
_cell_length_b 6.769
_cell_length_c 8.015
_cell_angle_alpha 90.00
_cell_angle_beta 90.00
_cell_angle_gamma 103.98
_symmetry_space_group_name_H-M 'P 1'
_symmetry_Int_Tables_number 1
loop_
_symmetry_equiv_pos_as_xyz
'x,y,z'
loop_
_atom_site_label
_atom_site_type_symbol
_atom_site_fract_x
_atom_site_fract_y
_atom_site_fract_z
K1 K 0.511 0.530 0.724
K2 K 0.470 0.489 0.276
K3 K 0.011 0.030 0.776
K4 K 0.970 0.989 0.224
Al1 Al 0.068 0.545 0.008
Al2 Al 0.455 0.932 0.992
Al3 Al 0.568 0.045 0.492
Al4 Al 0.955 0.432 0.508
O1 O 0.168 0.335 0.518
O2 O 0.665 0.832 0.482
O3 O 0.668 0.835 0.982
O4 O 0.165 0.332 0.018
O5 O 0.918 0.479 0.813
O6 O 0.521 0.082 0.187
O7 O 0.418 0.979 0.687
O8 O 0.021 0.582 0.313
O9 O 0.977 0.620 0.680
O10 O 0.380 0.023 0.320
O11 O 0.477 0.120 0.820
O12 O 0.880 0.523 0.180
O13 O 0.708 0.292 0.500
O14 O 0.208 0.792 0.000
# **Total energy after the MP2020 corrections**: -124.989 eV/cell
# **Spin magnetization**: 4.00 μB per cell

---

(4)
# Pr12C6I17 GGA-PBE optimized geometry
data_Pr12C6I17
_cell_length_a 12.015
_cell_length_b 12.015
_cell_length_c 19.504
_cell_angle_alpha 89.25
_cell_angle_beta 89.25
_cell_angle_gamma 63.99
_symmetry_space_group_name_H-M 'P 1'
_symmetry_Int_Tables_number 1
loop_
_symmetry_equiv_pos_as_xyz
'x,y,z'
loop_
_atom_site_label
_atom_site_type_symbol
_atom_site_fract_x
_atom_site_fract_y
_atom_site_fract_z
Pr1 Pr 0.711 0.296 0.021
Pr2 Pr 0.704 0.289 0.479
Pr3 Pr 0.289 0.704 0.979
Pr4 Pr 0.296 0.711 0.521
Pr5 Pr 0.534 0.548 0.128
Pr6 Pr 0.452 0.466 0.372
Pr7 Pr 0.466 0.452 0.872
Pr8 Pr 0.548 0.534 0.628
Pr9 Pr 0.899 0.424 0.117
Pr10 Pr 0.576 0.101 0.383
Pr11 Pr 0.101 0.576 0.883
Pr12 Pr 0.424 0.899 0.617
Pr13 Pr 0.641 0.641 0.950
Pr14 Pr 0.359 0.359 0.550
Pr15 Pr 0.359 0.359 0.050
Pr16 Pr 0.641 0.641 0.450
Pr17 Pr 0.020 0.077 0.152
Pr18 Pr 0.923 0.980 0.348
Pr19 Pr 0.980 0.923 0.848
Pr20 Pr 0.077 0.020 0.652